Given =
- - -
CuTcBiPt | GGA-PBE | relaxed

As for the magnetic moment: 0.0 μB/cell. The value obtained for the electronic total energy is -91.4 eV for the cell shown. Its density is 13.780 g/cm³. The value obtained for the distance to the lowest polymorph of the same formula is 0.0 meV per atom. For the calculated volume, the calculation gives 272.6 Å³ per cell.

It has space group F-43m (No. 216), with a = 6.484 Å, b = 6.484 Å, c = 6.484 Å, α = 90.00°, β = 90.00° and γ = 90.00°. The asymmetric unit holds Cu at (0.000, 0.000, 0.000), Tc at (0.000, 0.000, 0.500), Bi at (0.250, 0.250, 0.750) and Pt at (0.250, 0.250, 0.250).

---

ZrBPd | GGA-PBE | relaxed

As for the magnetic moment: 2.8 μB/cell. The value obtained for the electronic total energy is -79.1 eV for the cell shown. Its density is 6.815 g/cm³. For the calculated volume, the calculation gives 203.2 Å³ per cell.

It has space group F-43m (No. 216), with a = 5.879 Å, b = 5.879 Å, c = 5.879 Å, α = 90.00°, β = 90.00° and γ = 90.00°. The asymmetric unit holds Zr at (0.000, 0.000, 0.000), B at (0.000, 0.000, 0.500) and Pd at (0.250, 0.250, 0.750).

---

TmScW | GGA-PBE | relaxed

As for the magnetic moment: 0.0 μB/cell. The value obtained for the electronic total energy is -84.9 eV for the cell shown. Its density is 9.026 g/cm³. The calculation puts the formation energy at 0.8446 eV/atom. The value obtained for the distance to the lowest polymorph of the same formula is 0.0 meV per atom. For the calculated volume, the calculation gives 292.7 Å³ per cell.

It has space group F-43m (No. 216), with a = 6.640 Å, b = 6.640 Å, c = 6.640 Å, α = 90.00°, β = 90.00° and γ = 90.00°. The asymmetric unit holds Tm at (0.000, 0.000, 0.000), Sc at (0.000, 0.000, 0.500) and W at (0.250, 0.250, 0.750).

---

Tm2Re3Os | GGA-PBE | relaxed

As for the magnetic moment: 0.0 μB/cell. The value obtained for the electronic total energy is -118.7 eV for the cell shown. Its density is 16.600 g/cm³. The calculation puts the formation energy at -0.3157 eV/atom. For the calculated volume, the calculation gives 217.4 Å³ per cell.

It has space group P6_3/mmc (No. 194), with a = 5.2969 Å, b = 5.2969 Å, c = 8.9479 Å, α = 90.00°, β = 90.00° and γ = 120.00°. The asymmetric unit holds Tm at (0.3333, 0.6667, 0.0622), Re at (0.1713, 0.3425, 0.7500) and Os at (0.0000, 0.0000, 0.0000).

---

ZnPbN2 | GGA-PBE | relaxed

The value obtained for the electronic total energy is -78.9 eV for the cell shown. Its density is 8.441 g/cm³. For the calculated volume, the calculation gives 236.5 Å³ per cell.

It has space group Pna2_1 (No. 33), with a = 6.039 Å, b = 6.921 Å, c = 5.659 Å, α = 90.00°, β = 90.00° and γ = 90.00°. The asymmetric unit holds Zn at (0.081, 0.126, 0.000), Pb at (0.092, 0.624, 0.001), N at (0.069, 0.113, 0.362) and N at (0.093, 0.636, 0.392).

---

Ag2TeO | GGA-PBE | relaxed

The value obtained for the electronic total energy is -55.7 eV for the cell shown. Its density is 7.592 g/cm³. The value obtained for the distance to the lowest polymorph of the same formula is 0.0 meV per atom. For the calculated volume, the calculation gives 314.4 Å³ per cell.

It has space group Cmc2_1 (No. 36), with a = 3.571 Å, b = 13.135 Å, c = 6.701 Å, α = 90.00°, β = 90.00° and γ = 90.00°. The asymmetric unit holds Ag at (0.000, 0.001, 0.000), Ag at (0.000, 0.298, 0.756), Te at (0.000, 0.359, 0.249) and O at (0.000, 0.099, 0.251).

---

Cu2B2Se3S | GGA-PBE | relaxed
- - -

Activity =
What is needed: copy the rows further above from the first line to the one with "gives 203.2" exactly.

Outcome =
CuTcBiPt | GGA-PBE | relaxed

As for the magnetic moment: 0.0 μB/cell. The value obtained for the electronic total energy is -91.4 eV for the cell shown. Its density is 13.780 g/cm³. The value obtained for the distance to the lowest polymorph of the same formula is 0.0 meV per atom. For the calculated volume, the calculation gives 272.6 Å³ per cell.

It has space group F-43m (No. 216), with a = 6.484 Å, b = 6.484 Å, c = 6.484 Å, α = 90.00°, β = 90.00° and γ = 90.00°. The asymmetric unit holds Cu at (0.000, 0.000, 0.000), Tc at (0.000, 0.000, 0.500), Bi at (0.250, 0.250, 0.750) and Pt at (0.250, 0.250, 0.250).

---

ZrBPd | GGA-PBE | relaxed

As for the magnetic moment: 2.8 μB/cell. The value obtained for the electronic total energy is -79.1 eV for the cell shown. Its density is 6.815 g/cm³. For the calculated volume, the calculation gives 203.2 Å³ per cell.